PC Builds - Seeking Advisement


Jul 8, 2014
Anybody wanna take a crack at these two builds and give me some suggestions?

http://pcpartpicker.com/user/ColdAtrophy/saved/j6qPxr [pcpartpicker.com]

http://pcpartpicker.com/user/ColdAtrophy/saved/MLwypg [pcpartpicker.com]

I haven't decided which one I'm going with yet, nor have I ensured that each one is optimized. Look at these like rough ideas.

I have Amazon Prime so I'm trying to take advantage of that as much as possible. Also, I have an unused key for Windows 8.1 so I won't need to purchase an OS.

Feedback and suggestions of a constructive type are welcome. I'm not looking for AMD vs Intel fanboyism here. I just wanna make sure that the build will exceed what my Late 2013 Macbook Pro can do (Yes I can play BF4 on it at 65fps, custom settings , 1600x900). I'm gonna sell it to pay for the build.

15" Macbook Pro w/ Retina Display
Intel i7 2.3ghz, Turbo Boost up to 3.7GHz
16GB DDR3 @1600mhz
Nvidia Geforce GT 750M w/ 2GB GDDR5

This build will need to be usable for school. I am getting a BS in Video Game Design. I will mainly be using Unity and UDK.

If you need to know anything else, just ask :) Thanks!
Hi ColdAtrophy.
I am an 8350 user, no fanboy; I have owned both platforms.

You have two choices here -
The intel build, will be stronger with your Video Game design due to the stronger single core performance. HOWEVER I am not saying the 8320 will be useless at it, just the I5 will be better. Some applications may be able to make use of the CUDA cores in the NVidia, but it doesn't make too much of a difference.

The AMD Build will hinder more performance in gaming. Why? Not because of the CPU. The 280x is far more powerful than the GTX 760 and leapfrogs a GTX 770 in games. The 280x also has better compute power.

This record from the Alexandria database describes InFe2SnO6 after structural relaxation. The functional is PBE+U.

Structure (extended XYZ):
```
10
Lattice="5.4005 0.0013 0.0229 2.7018 4.6690 0.0012 2.7194 1.5468 4.7583" Properties=species:S:1:pos:R:3 pbc="T T T"
In 8.1111 4.6639 2.7421
Fe 5.4103 3.1055 2.1047
Fe 2.7244 1.5531 4.4050
Sn 2.7045 1.5479 0.3188
O 4.5842 1.4921 1.2090
O 4.4349 4.6226 1.2217
O 7.2195 3.2101 1.2235
O 6.1541 4.4611 3.5879
O 6.2074 1.7924 3.5727
O 3.8575 3.0799 3.5904
```

Summary:
- Crystal system: triclinic
- Volume: 119.8 Å³/cell
- E: -62.8 eV/cell

~~~~~

Below is an optimized crystal structure of Sm6ZnS4, with properties calculated at the PBE level.

Cell lengths 4.003, 6.947, 20.549 Å; angles 90.00, 90.00, 106.74 degrees
Element x y z (fractional)
S  0.592  0.185  0.876
S  0.592  0.185  0.624
Sm  0.500  0.000  0.000
S  0.137  0.274  0.459
Sm  0.773  0.546  0.083
Sm  0.957  0.913  0.662
Sm  0.227  0.454  0.583
S  0.408  0.815  0.124
Sm  0.500  0.000  0.500
Sm  0.329  0.658  0.250
Zn  0.341  0.682  0.750
Sm  0.957  0.913  0.838
Sm  0.043  0.087  0.162
S  0.863  0.726  0.959
Sm  0.671  0.342  0.750
S  0.863  0.726  0.541
Sm  0.773  0.546  0.417
Sm  0.227  0.454  0.917
Sm  0.043  0.087  0.338
Zn  0.659  0.318  0.250
S  0.137  0.274  0.041
S  0.408  0.815  0.376

Properties
* DFT total energy: -5.723 eV per atom
* space group: Cmcm, No. 63
* total magnetic moment: 0.3 μB per formula unit
* calculated volume: 24.9 Å³ per atom
* density of states at the Fermi level: 0.6877 states/eV/atom


Below is an optimized crystal structure of Sm3Zn5S12, with properties calculated at the PBE level.

Cell lengths 13.122, 13.122, 13.122 Å; angles 109.47, 109.47, 109.47 degrees
Element x y z (fractional)
S  0.876  0.588  0.911
S  0.124  0.712  0.535
S  0.823  0.912  0.288
S  0.376  0.965  0.788
S  0.788  0.465  0.376
Zn  0.875  0.625  0.750
S  0.788  0.323  0.912
S  0.535  0.212  0.124
S  0.965  0.589  0.177
S  0.035  0.624  0.712
S  0.323  0.788  0.412
S  0.712  0.124  0.035
S  0.624  0.035  0.212
Zn  0.625  0.750  0.875
S  0.288  0.412  0.823
S  0.323  0.535  0.411
Sm  0.750  0.875  0.625
S  0.124  0.412  0.089
S  0.412  0.288  0.323
S  0.912  0.089  0.624
Sm  0.625  0.375  0.750
S  0.412  0.124  0.589
S  0.712  0.588  0.177
S  0.876  0.288  0.465
Zn  0.500  0.000  0.500
Zn  0.125  0.375  0.250
Zn  0.000  0.000  0.000
S  0.212  0.677  0.088
S  0.088  0.177  0.212
S  0.912  0.823  0.788
S  0.288  0.876  0.965
S  0.376  0.411  0.088
S  0.411  0.376  0.588
S  0.965  0.376  0.288
S  0.589  0.965  0.677
Zn  0.750  0.625  0.375
Zn  0.375  0.250  0.125
Zn  0.500  0.000  0.000
Zn  0.875  0.250  0.625
Sm  0.750  0.375  0.125
S  0.589  0.624  0.412
Zn  0.750  0.125  0.875
S  0.823  0.911  0.035
S  0.624  0.589  0.912
S  0.411  0.035  0.323
Zn  0.625  0.875  0.250
Zn  0.000  0.500  0.000
Zn  0.375  0.125  0.750
S  0.212  0.535  0.624
S  0.588  0.712  0.677
S  0.588  0.876  0.411
Zn  0.500  0.500  0.500
Zn  0.125  0.750  0.375

So the choice is yours, the AMD build will give a bigger increase in gaming than the Intel build will in SDK...

Just a...
Hi ColdAtrophy.
I am an 8350 user, no fanboy; I have owned both platforms.

You have two choices here -
The intel build, will be stronger with your Video Game design due to the stronger single core performance. HOWEVER I am not saying the 8320 will be useless at it, just the I5 will be better. Some applications may be able to make use of the CUDA cores in the NVidia, but it doesn't make too much of a difference.

The AMD Build will hinder more performance in gaming. Why? Not because of the CPU. The 280x is far more powerful than the GTX 760 and leapfrogs a GTX 770 in games. The 280x also has better compute power.

/*
Compound: PuCo2HgO8
Source: Alexandria
Functional: PBE+U
Structure: optimized geometry

Calculated values
For the volume, the calculation gives 159.35 Å³/f.u. The calculation puts the uncorrected energy at -153.139 eV/cell.

a b c (Å): 6.9113 6.9113 6.6720
angles (deg): 90.00 90.00 90.00
Last column: nearest neighbours and their distance in Å.
Space group I-4m2 (No. 119)
One atom of each set of equivalent atoms:
Pu: 0.0000 0.0000 0.0000  4 O 2.01
Co: 0.0000 0.0000 0.5000  4 O 1.71
Co: 0.0000 0.5000 0.7500  4 O 1.96
Hg: 0.0000 0.5000 0.2500  8 O 2.31-2.54
O: 0.0000 0.1721 0.3153  1 Co 1.71
O: 0.0000 0.2853 0.9417  1 Co 1.96, 1 Pu 2.01

=====

# KReBr2

An optimized crystal structure of KReBr2 (PBE, Alexandria via LeMat-Bulk).

Calculated values
* energy: -3.83 eV/atom
* excess energy over the best structure of this formula in the dataset: 0.189 eV per atom
* ΔE_f (raw): 0.40 eV/atom

Cell lengths 6.2283, 6.2283, 13.5891 Å; angles 90.00, 90.00, 90.00 degrees
Last column: nearest neighbours and their distance in Å.
Space group I-42d (No. 122)
Unique sites:
K 0.0000 0.0000 0.0000 [4 per cell]  4 Br 3.19
Re 0.0000 0.0000 0.5000 [4 per cell]  4 Br 2.48
Br 0.1457 0.2500 0.6250 [8 per cell]  2 Re 2.48

=====

! IrCS3 (GGA-PBE, relaxed); values from VASP
! Spin magnetization = 0.258 μB/atom
! Energy above the most stable polymorph in this dataset = 475 meV per atom
! Energy relative to the elements, uncorrected = 1.910 eV/atom
! Space group = Pm-3m
&SYSTEM
  ibrav = 0, nat = 5, ntyp = 3
/
ATOMIC_SPECIES
Ir 192.22 Ir.upf
S 32.06 S.upf
C 12.01 C.upf
ATOMIC_POSITIONS crystal
Ir 0.000 0.000 0.000
S 0.000 0.000 0.500
S 0.000 0.500 0.000
S 0.500 0.000 0.000
C 0.500 0.500 0.500
CELL_PARAMETERS angstrom
4.643 0.000 0.000
0.000 4.643 0.000
0.000 0.000 4.643

=====

A plane-wave DFT calculation with GGA+U was carried out for a geometry-optimized Ag2Te4MoO12 structure.

Summary:
The value obtained for the density is 5.69 g/cm³. Its uncorrected energy is -207.53 eV/cell.

POSCAR file:
```
Ag2Te4MoO12
1.0
9.3379 -0.0313 0.0597
7.4679 5.6060 0.0597
2.8201 0.9354 11.2683
O Te Ag Mo
24 8 4 2
Cartesian
11.7000 1.5042 9.8271 O
3.8721 1.1425 4.7310 O
3.9502 0.6615 7.5518 O
8.7684 1.9835 1.6586 O
9.6256 4.1180 7.2928 O
11.3907 4.7690 2.8476 O
14.9534 5.4095 10.5580 O
13.3928 3.4519 8.4818 O
10.7564 1.1911 7.1947 O
10.0002 2.3921 4.0949 O
8.8694 5.3189 4.1930 O
2.1524 1.3628 1.9177 O
10.8574 4.5266 9.7290 O
13.8119 4.1322 4.9238 O
15.6756 5.8486 3.8358 O
5.8139 2.3779 6.4638 O
14.4286 4.6441 1.0225 O
4.6724 1.1006 0.8297 O
17.4734 5.1472 9.4700 O
5.1973 1.8659 10.3651 O
8.2351 1.7411 8.5401 O
15.7538 5.3676 6.6567 O
7.9258 5.0059 1.5605 O
6.2331 3.0581 2.9059 O
8.9765 1.6063 6.7803 Te
13.2587 2.2970 6.4843 Te
6.7469 3.6093 1.1461 Te
9.0329 0.8952 10.5376 Te
10.6494 4.9038 4.6074 Te
12.8790 2.9008 10.2415 Te
10.5929 5.6148 0.8501 Te
6.3672 4.2131 4.9034 Te
6.5550 3.5062 8.7255 Ag
13.0708 3.0038 2.6622 Ag
13.6849 5.8713 8.2963 Ag
5.9410 0.6388 3.0913 Ag
9.7360 1.1276 2.8768 Mo
*/

So the choice is yours, the AMD build will give a bigger increase in gaming than the Intel build will in SDK...

Just a tip, choose a different PSU.


Yes, that build is perfect for your needs.
I reccomended you change the PSU is because that PSU isn't great.. It's OEM isn't known for making reliable PSU's.
For the same price you can get something like an XFX 550w PSU which is manufactured by Seasonic; who make some of the best PSU's on the planet. When you build a PC the worst thing you want to do is cheap out on the PSU, because if something goes wrong it can kill all of the components you just spend a lot of money on.
Thank you! You have been a big help. I honestly thought the Antec was a good PSU. Others had recommended it to me. I think I'm gonna go with the XFX 80+ Gold that is fully modular for a few dollars more. Thanks again!

No problem! :)